Collection Agency Bond Claims Guide
Estimated Read Time: 6 minutes

No. 1
Below is a cluster of 8 separate species, C20H57NO16 in total, with properties calculated with wB97M-V/def2-TZVPD.

Results
Structure (SMILES) ... COCCNCCOC.OCCO.OCCO.OCCO.OCCO.OCCO.OCCO.OCCO
E_HOMO ... -8.270 eV
ΔE to the lowest compared entry with this formula, charge and spin ... 127.3 kcal per mole
E ... -2054.43735 Eh
Molar mass ... 567.67 u

```
94
Properties=species:S:1:pos:R:3:forces:R:3:lowdin_charge:R:1
C -9.960 -12.341 -0.073 -0.002 0.462 -1.617 -0.0907
O -10.639 -11.279 -0.753 -0.310 -0.712 1.274 -0.2156
C -9.887 -10.121 -0.997 -1.125 -0.098 -1.126 -0.2422
C -8.989 -10.335 -2.258 1.218 1.709 2.617 -0.1584
N -8.449 -8.988 -2.570 -0.878 0.702 -1.697 -0.0812
C -8.079 -8.651 -3.932 1.040 0.796 0.520 -0.2135
C -7.608 -7.197 -4.170 0.058 0.920 -0.017 -0.2331
O -6.373 -6.781 -3.598 0.397 0.808 1.356 -0.2308
C -5.700 -5.583 -4.182 -0.746 -2.002 -0.436 -0.0589
H -9.321 -11.948 0.718 -0.238 -0.243 0.350 0.0881
H -9.339 -12.816 -0.833 0.473 -0.308 0.197 0.0740
H -10.704 -13.090 0.198 0.067 0.316 0.514 0.0870
H -9.483 -9.634 -0.110 1.142 -0.727 0.285 0.1169
H -10.677 -9.388 -1.159 0.070 0.182 -1.038 0.1160
H -9.554 -10.929 -2.976 -0.237 1.104 -0.638 0.1251
H -8.159 -11.001 -2.020 0.195 -0.274 0.297 0.1000
H -7.858 -8.425 -1.973 -0.145 -1.103 0.883 0.1153
H -8.972 -8.736 -4.551 0.331 -0.436 -0.474 0.1198
H -7.189 -9.203 -4.235 -0.247 -0.814 -0.682 0.1123
H -8.363 -6.509 -3.789 -0.435 0.149 -0.413 0.1188
H -7.377 -7.074 -5.228 -1.078 -0.164 -0.468 0.1123
H -4.935 -6.171 -4.689 0.804 1.283 -0.084 0.0882
H -5.409 -4.787 -3.496 0.376 -0.873 0.729 0.0772
H -6.248 -4.983 -4.909 -0.730 -0.676 -0.332 0.0735
C 10.146 5.767 3.486 0.949 0.872 -0.594 -0.2057
C 9.283 4.716 2.846 -1.307 0.770 1.089 -0.2725
O 9.321 3.600 3.690 0.830 -1.060 -0.380 -0.0482
O 11.558 5.309 3.674 -2.022 0.527 -0.372 -0.0846
H 9.763 6.124 4.442 -0.119 -0.390 0.135 0.1199
H 10.174 6.634 2.825 0.020 0.154 -0.111 0.1127
H 9.430 4.647 1.768 0.787 -0.874 -0.033 0.1176
H 8.223 4.955 2.928 -0.064 0.979 -0.191 0.1208
H 10.216 3.640 4.035 0.259 -0.742 0.304 0.0690
H 11.974 6.172 3.738 0.661 -0.240 0.155 0.0710
C 3.802 -0.411 8.712 1.371 0.730 -2.101 -0.2245
C 4.319 -0.739 7.272 -2.699 0.506 1.331 -0.2901
O 5.681 -0.657 7.214 1.745 -0.433 0.130 -0.0376
O 4.000 1.001 8.914 -0.070 -1.061 0.961 -0.0757
H 4.532 -0.954 9.314 -0.347 -0.250 0.488 0.1136
H 2.768 -0.694 8.909 0.027 -0.187 -0.163 0.1123
H 3.888 -0.029 6.565 -0.462 -0.214 -0.054 0.1224
H 3.897 -1.738 7.164 0.466 -0.418 -0.918 0.1083
H 5.977 -0.030 6.551 -0.191 -0.033 0.107 0.0990
H 4.369 0.906 9.795 0.159 1.365 0.218 0.0724
C 6.533 1.672 -9.560 0.191 1.130 0.656 -0.2328
C 7.531 1.105 -10.554 -0.440 0.228 1.283 -0.2460
O 8.641 2.009 -10.626 -0.281 -0.714 -0.063 -0.0603
O 6.968 1.777 -8.175 0.168 -1.268 -0.876 -0.0823
H 5.624 1.075 -9.630 -0.110 0.292 0.315 0.1193
H 6.399 2.741 -9.728 -0.780 -0.123 -1.209 0.1169
H 7.013 0.941 -11.499 0.192 0.299 -0.293 0.1146
H 7.776 0.121 -10.155 0.588 -0.130 -0.119 0.1199

A collection agency is a for-profit business that engages directly or indirectly in the solicitation and collection of past due debts and/or claims. To be registered as a commercial or consumer collection agency, and to maintain licensure, a surety bond is typically mandated by a governing regulator (on record, 35 states require the financial security of a bond).
Collection agencies are generally regarded as high-risk to the public due to the solicitation data they have access to and the responsibility of collecting/transferring debts between consumers, businesses, and credit grantors. Because of this, a Collection Agency Bond (oftentimes referred to specifically as a Commercial or Consumer Collection Agency Bond) is required by state regulators to ensure the credibility and dependability of the licensee.
So where does Jet Insurance Company come in? By providing a Collection Agency Bond, Jet financially guarantees a means of restitution to any party that has been damaged by the collection agency’s transgressions. Hopefully, it never comes to this, but bond claims do happen. Let’s go over how Collection Agency Bond claims can be avoided and what to do should an official claim occur.
How to Avoid Action on Your Bond
As a licensed collection agency, you and your employees will be expected to comply with all applicable licensing rules, as well as fulfill any contractual obligations agreed upon with the clients of your agency. Yet state regulations tend to be extensive and will require a thorough understanding before collection agency services may be performed.
To ensure you are aware of what NOT to do as a collection agency, take a look at various examples of prohibited acts below.
- Fail to keep a record of debts/claims owed, collected, or remitted
- Engage in deceptive, unfair, or unreasonable practices
- Harass or threaten a person or business to procure the collection of a debt
- Collect or attempt to collect a larger amount of money than what is actually owed
- Add interest fees not authorized by the state
- Share commercial or consumer debt information with a third party
- Once the collection has been made, fail to properly transfer this debt over to whom the collection was owed within a certain time period (typically 30 days)
Claim Process Details
Who Can File a Claim on a Commercial or Consumer Collection Agency Bond?
In most states, a damaged client may pursue civil action against the collection agency directly which may lead to a bond claim. Additionally, the state regulator who oversees your license may file a claim on behalf of a damaged claimant or for their own benefit due to financial losses caused by license infractions.
Are There Limits to Claim Filings?

A claim may be filed against a Collection Agency Bond for activities performed during the bond’s active duration and grace period (best known as a cancellation period in legal terms). So if the bond is cancelled early, the bond may be subject to a mandated cancellation period (e.g. 30, 60, or 90 days) which will, in turn, extend the claim filing window. Each bond form specifically states how long the cancellation period is.

Some states will specify the limitations on how long after a bond is cancelled for a claim to be made for prior transgressions, commonly known as a bond “tail”. For instance, the State of Arizona does not allow action to be pursued against a Collection Agency Bond beyond three years of the violation on which the claim is based. After that, action cannot be pursued.

-- Molecular data that have nothing to do with the piece --
┌──
(1)
A cluster of 2 separate species, C3H7O3 in total, computed with the ωB97M-V functional and the def2-TZVPD basis.

```
13
C3H7O3 | OMol25 | the ωB97M-V functional and the def2-TZVPD basis
C -0.13719 -1.58362 2.17932
C 0.56386 -1.21779 0.85609
O -0.14019 -0.56192 0.03161
O 1.67952 -1.72648 0.65796
H -0.85247 -0.84010 2.50514
H 0.61202 -1.84615 2.92270
H -0.61401 -2.53942 1.96095
C -0.30469 2.07360 -1.97581
O 0.46600 0.88328 -2.09471
H 0.24285 0.32398 -1.29484
H -1.13426 2.03120 -2.67012
H -0.76527 2.09351 -0.97765
H 0.38384 2.90991 -2.10065
```

Output
calculated total energy	-9368.4365	eV
HOMO	-4.39	eV
total charge	-1
max |F|	1.69	eV/Å
energy relative to the best compared isomer or geometry (same formula, charge and spin)	69.6	kJ/mol
HOMO-LUMO gap	8.597	eV

(2)
A structure of composition C3H8O4, computed with the ωB97M-V functional and the def2-TZVPD basis.

```
15
C3H8O4 | OMol25 | the ωB97M-V functional and the def2-TZVPD basis
C 0.10198 0.76867 -0.26989
C 0.97392 0.01477 0.61194
C -1.01861 -0.72258 -1.09632
O -0.84903 1.60640 0.29005
O 0.72390 1.39420 -1.33035
O 0.35658 -1.52562 0.53158
O 0.88770 0.41804 1.94674
H 0.03063 1.69462 -1.93644
H -0.70035 1.60606 1.25086
H 1.08890 -0.36079 2.48306
H 0.16007 -2.22257 1.19848
H 1.99266 -0.16397 0.27470
H -1.87157 -0.05001 -1.14093
H -1.46434 -1.67214 -0.81944
H -0.41244 -0.78507 -1.99405
```

Output
calculated total energy	-11426.5722	eV
HOMO	-8.37	eV
max |F|	4.36	eV/Å
energy relative to the best compared isomer or geometry (same formula, charge and spin)	453.2	kJ/mol
HOMO-LUMO gap	8.882	eV

(3)
An isolated molecule of C3H5N3, computed with the ωB97M-V functional and the def2-TZVPD basis.

```
11
C3H5N3 | OMol25 | the ωB97M-V functional and the def2-TZVPD basis
C -1.73343 -0.26248 0.01843
N -0.26367 -0.14349 -0.33215
C 0.44508 0.97421 -0.14449
N 1.73394 0.87057 0.02391
C 2.00219 -0.49620 0.03300
N 0.99369 -1.31354 -0.11135
H -2.39871 -0.52117 -0.82090
H -1.81017 -1.05324 0.76051
H -2.17348 0.64714 0.48014
H 0.12277 2.00840 -0.08519
H 3.08179 -0.71019 0.17808
```

Output
calculated total energy	-7660.1408	eV
HOMO	-9.79	eV
max |F|	2.74	eV/Å
SMILES	Cn1cncn1
energy relative to the best compared isomer or geometry (same formula, charge and spin)	223.3	kJ/mol
HOMO-LUMO gap	10.558	eV

----------

[1]
A structure of composition C17H31Cl2MgN2O7P2STe. Source: the Open Molecules 2025 dataset; level of theory: the ωB97M-V functional and the def2-TZVPD basis.

```
64
Properties=species:S:1:pos:R:3:nbo_charge:R:1
Mg -0.18636 0.62279 -0.87597 1.8348
Cl 0.20332 0.96589 5.57357 0.0348
C 0.79480 -0.59363 5.48466 -0.1414
C -0.11357 -1.68696 5.35795 -0.2407
C 0.29429 -2.97934 5.47389 -0.2910
C 1.64505 -3.24931 5.66102 -0.2498
C 2.58866 -2.23132 5.70066 -0.0955
Cl 4.22174 -2.69907 5.98811 -0.0155
C 2.24181 -0.84813 5.55214 -0.2034
S 3.49289 0.29376 5.41477 -0.4048
H -1.21045 -1.46937 5.34097 0.2087
H -0.39111 -3.82422 5.35010 0.1987
H 2.07218 -4.20421 5.75259 0.2054
N 0.46600 4.44068 3.10723 -0.6937
└──

As for the amount of coverage, bond limits for commercial and consumer collection agencies vary from $5,000 to $50,000 and are either determined on a case by case by a state regulator, stated in the statutes, or are required to be a standard amount via the bond form. A claim, or multiple claims on one bond, in no circumstance exceed the bond’s limit. Once a surety bond has been drained of its funds due to claim payouts, no further claims may be filed against it.
What Would a Collection Agency Bond Claim Look Like?
Let’s saythat the Banks Collections Agency of Arizona, a consumer collection agency owned by Alex Banks, has been hired by Nurture Health to collect consumer medical debt from various patients with overdue bills. The agency begins its solicitation/collection services and is successful in making some collections.
Now according to Arizona law, once a collection has been made, the proceeds from the debts paid are to be transferred to the customer (Nurture Health) within a 30-day period (this practice is pretty typical for all states). However, a Banks employee that was supposed to be in charge of this process has become restless at his job and neglects to complete this task even after being sent several requests to do so from the customer. So what is Nurture Health to do?

The first step that Nurture Health can take is to call the Banks Collection Agency directly to request the collected claims that are owed (this would be the easiest way to resolve the problem). However, as stated previously, Nurture Health has already sent several collection requests that have been either ignored or rejected. If the agency is unable or unwilling to transfer the collected debts to Nurture Health then they may file a complaint with the state regulator that is in charge of Alex Banks agency license. Once a complaint has been filed, the regulator’s team will look into the matter.
Once the regulator begins an investigation of the license violation (this process may include court proceedings), it will be up to Nurture Health to provide evidence of the accusation. For instance, verification that the debt was collected by the agency and not sent to Nurture Health within the regulated timeline is needed, as well as any testament regarding the negligence/insubordination of the agency employee, and the financial damages caused.
If the complaint is found to be valid by the regulator, they may offer to file a claim on Alex Bank’s Consumer Collection Agency Bond on behalf of Nurture Health or direct the company to file a claim themselves.
Occasionally, the surety provider (Jet) will receive complaints about a bondholder directly. If this happens, our team will conduct a review and official investigation of the matter. In cases where the complaint is found to be valid, Jet will then handle the claim process from then on as we are obligated through our surety bond agreement.
In this case, Nurture Health asks the state regulator to file a bond claim on their behalf. Once the claim notice has been received by the surety provider (Jet), a review and investigation of the claim will proceed per usual.
As we know, the regulator has already completed an investigation of the claim and made a judgment that it is valid, therefore, the claim will likely hold up. If this is the case, Jet is legally obligated per the Consumer Collection Agency Bond form to payout the claim.
Payment will be equal to the fiscal amount of damages caused and may not exceed the bond’s limit. As soon as the payment goes through, the claim case will be closed and Alex Banks must then reimburse Jet for the full amount of the payout. Due to this transgression, Banks Collection Agency will likely face license penalties by the state regulator as well.
The case is not over yet, however, as Banks must eventually pay back Jet Insurance Company for the bond payout. All surety bonds with all surety carriers are more like a line of credit than insurance. The bond is a promise of financial security to everyone damaged by the person who purchases it. Failure to repay the bond may result in further problems for the company, such as trouble obtaining a new surety bond which is needed for licensure purposes.
It is important to note that each state’s laws vary slightly, so it is best to read up on these procedures for the state or states that are regulating your collection agency. Take a look at the chart below for further details.